Activity:
Now filter the listing underneath: keep the lines with the word "La4Ti5S12O2".
Input:
-- begin --
{"formula": "RbMg6B", "functional": "PBE", "state": "optimized geometry", "crystal_system": "orthorhombic", "polymorph_energy_ev_per_atom": 0.000, "sg": "Amm2, No. 38", "lattice": [[3.4242, 0.0000, 0.0000], [0.0000, 4.2296, 7.1806], [0.0000, -4.2296, 7.1806]], "species": ["Rb", "Mg", "Mg", "Mg", "Mg", "Mg", "Mg", "B"], "frac_coords": [[0.0000, 0.0000, 0.0000], [0.0000, 0.4521, 0.4521], [0.0000, 0.6043, 0.9727], [0.0000, 0.9727, 0.6043], [0.5000, 0.2555, 0.2555], [0.5000, 0.4530, 0.7885], [0.5000, 0.7885, 0.4530], [0.5000, 0.7575, 0.7575]]}



{"formula": "La4Ti5S12O2", "functional": "PBE", "state": "optimized geometry", "crystal_system": "monoclinic", "sg": "Pm, No. 6", "lattice": [[10.3634, 0.0000, 0.0000], [0.0000, 8.4756, 0.0000], [-0.0108, 0.0000, 10.3657]], "species": ["La", "La", "La", "La", "La", "La", "La", "La", "Ti", "Ti", "Ti", "Ti", "Ti", "Ti", "Ti", "Ti", "Ti", "Ti", "S", "S", "S", "S", "S", "S", "S", "S", "S", "S", "S", "S", "S", "S", "S", "S", "S", "S", "S", "S", "S", "S", "S", "S", "O", "O", "O", "O"], "frac_coords": [[0.0000, 0.2345, 0.0000], [0.0000, 0.7655, 0.0000], [0.4158, 0.2367, 0.0034], [0.4158, 0.7633, 0.0034], [0.4181, 0.2405, 0.5763], [0.4181, 0.7595, 0.5763], [0.9969, 0.2374, 0.5835], [0.9969, 0.7626, 0.5835], [0.0709, 0.5000, 0.2934], [0.1926, 0.5000, 0.8045], [0.2118, 0.0000, 0.2918], [0.5012, 0.0000, 0.2900], [0.6849, 0.5000, 0.8930], [0.7056, 0.5000, 0.2946], [0.7069, 0.0000, 0.7899], [0.7084, 0.0000, 0.0887], [0.7084, 0.0000, 0.4984], [0.9114, 0.0000, 0.2912], [0.0570, 0.2157, 0.2907], [0.0570, 0.7843, 0.2907], [0.1988, 0.5000, 0.5288], [0.2057, 0.5000, 0.0511], [0.2083, 0.0000, 0.0526], [0.2089, 0.0000, 0.5280], [0.2100, 0.2279, 0.7890], [0.2100, 0.7721, 0.7890], [0.3670, 0.2221, 0.2891], [0.3670, 0.7779, 0.2891], [0.4689, 0.5000, 0.7922], [0.4714, 0.0000, 0.7904], [0.5480, 0.5000, 0.4454], [0.5715, 0.5000, 0.1012], [0.7081, 0.2227, 0.6320], [0.7081, 0.7773, 0.6320], [0.7105, 0.2196, 0.9446], [0.7105, 0.7804, 0.9446], [0.7106, 0.1834, 0.2882], [0.7106, 0.8166, 0.2882], [0.8866, 0.5000, 0.4410], [0.8884, 0.5000, 0.1375], [0.9433, 0.5000, 0.7982], [0.9456, 0.0000, 0.7907], [0.5180, 0.0000, 0.1003], [0.5188, 0.0000, 0.4795], [0.8977, 0.0000, 0.4812], [0.8992, 0.0000, 0.0997]]}
-- stop --
Response:
{"formula": "La4Ti5S12O2", "functional": "PBE", "state": "optimized geometry", "crystal_system": "monoclinic", "sg": "Pm, No. 6", "lattice": [[10.3634, 0.0000, 0.0000], [0.0000, 8.4756, 0.0000], [-0.0108, 0.0000, 10.3657]], "species": ["La", "La", "La", "La", "La", "La", "La", "La", "Ti", "Ti", "Ti", "Ti", "Ti", "Ti", "Ti", "Ti", "Ti", "Ti", "S", "S", "S", "S", "S", "S", "S", "S", "S", "S", "S", "S", "S", "S", "S", "S", "S", "S", "S", "S", "S", "S", "S", "S", "O", "O", "O", "O"], "frac_coords": [[0.0000, 0.2345, 0.0000], [0.0000, 0.7655, 0.0000], [0.4158, 0.2367, 0.0034], [0.4158, 0.7633, 0.0034], [0.4181, 0.2405, 0.5763], [0.4181, 0.7595, 0.5763], [0.9969, 0.2374, 0.5835], [0.9969, 0.7626, 0.5835], [0.0709, 0.5000, 0.2934], [0.1926, 0.5000, 0.8045], [0.2118, 0.0000, 0.2918], [0.5012, 0.0000, 0.2900], [0.6849, 0.5000, 0.8930], [0.7056, 0.5000, 0.2946], [0.7069, 0.0000, 0.7899], [0.7084, 0.0000, 0.0887], [0.7084, 0.0000, 0.4984], [0.9114, 0.0000, 0.2912], [0.0570, 0.2157, 0.2907], [0.0570, 0.7843, 0.2907], [0.1988, 0.5000, 0.5288], [0.2057, 0.5000, 0.0511], [0.2083, 0.0000, 0.0526], [0.2089, 0.0000, 0.5280], [0.2100, 0.2279, 0.7890], [0.2100, 0.7721, 0.7890], [0.3670, 0.2221, 0.2891], [0.3670, 0.7779, 0.2891], [0.4689, 0.5000, 0.7922], [0.4714, 0.0000, 0.7904], [0.5480, 0.5000, 0.4454], [0.5715, 0.5000, 0.1012], [0.7081, 0.2227, 0.6320], [0.7081, 0.7773, 0.6320], [0.7105, 0.2196, 0.9446], [0.7105, 0.7804, 0.9446], [0.7106, 0.1834, 0.2882], [0.7106, 0.8166, 0.2882], [0.8866, 0.5000, 0.4410], [0.8884, 0.5000, 0.1375], [0.9433, 0.5000, 0.7982], [0.9456, 0.0000, 0.7907], [0.5180, 0.0000, 0.1003], [0.5188, 0.0000, 0.4795], [0.8977, 0.0000, 0.4812], [0.8992, 0.0000, 0.0997]]}